Give back the contents underneath from the line with "_cell_length_a 4.5868" to the end without altering anything, please.

This record from Materials Project describes a relaxed structure of YbPrMg2. The functional is meta-GGA r2SCAN.

## Properties
magnetization	0.000	μB per formula unit
electronic total energy	-18.663	eV per atom

CIF file:
```
data_YbPrMg2
_chemical_formula_sum 'Yb4 Pr4 Mg8'
_space_group_name_H-M_alt 'F m -3 m'
_space_group_IT_number 225
_space_group_name_Hall '-F 4 2 3'
_cell_length_a 7.649
_cell_length_b 7.649
_cell_length_c 7.649
_cell_angle_alpha 90.00
_cell_angle_beta 90.00
_cell_angle_gamma 90.00
loop_
_atom_site_label
_atom_site_type_symbol
_atom_site_fract_x
_atom_site_fract_y
_atom_site_fract_z
Yb1 Yb 0.000 0.000 0.000
Pr1 Pr 0.000 0.000 0.500
Mg1 Mg 0.250 0.250 0.250
```

This record from Materials Project describes a relaxed structure of Mg3Pt. The functional is meta-GGA r2SCAN.

## Properties
magnetization	0.000	μB per formula unit
electronic total energy	-16.617	eV per atom

CIF file:
```
data_Mg3Pt
_chemical_formula_sum 'Mg18 Pt6'
_space_group_name_H-M_alt 'P 63 c m'
_space_group_IT_number 185
_space_group_name_Hall 'P 6c -2'
_cell_length_a 7.8962
_cell_length_b 7.8962
_cell_length_c 8.3318
_cell_angle_alpha 90.00
_cell_angle_beta 90.00
_cell_angle_gamma 120.00
loop_
_atom_site_label
_atom_site_type_symbol
_atom_site_fract_x
_atom_site_fract_y
_atom_site_fract_z
Mg1 Mg 0.0000 0.0000 0.0000
Mg2 Mg 0.0000 0.2822 0.2608
Mg3 Mg 0.0000 0.3751 0.6053
Mg4 Mg 0.3333 0.6667 0.3904
Pt1 Pt 0.0000 0.3277 0.9329
```

This record from Materials Project describes a relaxed structure of Mg3Pt. The functional is meta-GGA r2SCAN.

## Properties
magnetization	0.000	μB per formula unit
electronic total energy	-16.598	eV per atom

CIF file:
```
data_Mg3Pt
_chemical_formula_sum 'Mg6 Pt2'
_space_group_name_H-M_alt 'P 63/m m c'
_space_group_IT_number 194
_space_group_name_Hall '-P 6c 2c'
_cell_length_a 4.5868
_cell_length_b 4.5868
_cell_length_c 8.2936
_cell_angle_alpha 90.00
_cell_angle_beta 90.00
_cell_angle_gamma 120.00
loop_
_atom_site_label
_atom_site_type_symbol
_atom_site_fract_x
_atom_site_fract_y
_atom_site_fract_z
Mg1 Mg 0.0000 0.0000 0.2500
Mg2 Mg 0.3333 0.6667 0.0764
Pt1 Pt 0.3333 0.6667 0.7500
```

~~~~~

No. 1
{
  "formula": "KSrPrNbO6",
  "functional": "PBE",
  "state": "optimized geometry",
  "space_group": "Pnnn, No. 48",
  "formation_energy_mev_per_atom": -2919,
  "m_tot_mub_per_fu": 1.0,
  "cell": [[-5.104, -4.289, -5.592], [-0.235, -6.767, 5.404], [-7.016, 3.322, 3.855]],
  "species": ["Nb", "Nb", "Nb", "Nb", "Sr", "Sr", "Sr", "Sr", "K", "K", "K", "K", "O", "O", "O", "O", "O", "O", "O", "O", "O", "O", "O", "O", "O", "O", "O", "O", "O", "O", "O", "O", "O", "O", "O", "O", "Pr", "Pr", "Pr", "Pr"],
  "frac_coords": [[0.750, 0.250, 0.250], [0.750, 0.750, 0.750], [0.250, 0.750, 0.250], [0.250, 0.250, 0.750], [0.000, 0.500, 0.000], [0.000, 0.000, 0.000], [0.500, 0.500, 0.500], [0.500, 0.000, 0.500], [0.000, 0.500, 0.500], [0.000, 0.000, 0.500], [0.500, 0.500, 0.000], [0.500, 0.000, 0.000], [0.481, 0.275, 0.761], [0.769, 0.520, 0.728], [0.019, 0.775, 0.261], [0.519, 0.725, 0.761], [0.981, 0.225, 0.261], [0.269, 0.980, 0.228], [0.231, 0.480, 0.728], [0.519, 0.275, 0.239], [0.019, 0.225, 0.739], [0.981, 0.775, 0.739], [0.288, 0.228, 0.519], [0.788, 0.272, 0.019], [0.712, 0.228, 0.481], [0.269, 0.020, 0.772], [0.731, 0.020, 0.228], [0.212, 0.728, 0.019], [0.481, 0.725, 0.239], [0.788, 0.728, 0.981], [0.769, 0.480, 0.272], [0.212, 0.272, 0.981], [0.712, 0.772, 0.519], [0.731, 0.980, 0.772], [0.288, 0.772, 0.481], [0.231, 0.520, 0.272], [0.250, 0.750, 0.750], [0.750, 0.750, 0.250], [0.250, 0.250, 0.250], [0.750, 0.250, 0.750]]
}


No. 2
{
  "formula": "KSrPrNbO6",
  "functional": "PBE",
  "state": "optimized geometry",
  "space_group": "F-43m, No. 216",
  "formation_energy_mev_per_atom": -2898,
  "m_tot_mub_per_fu": 1.0,
  "cell": [[-6.060, 1.087, 0.296], [-3.510, -0.730, -5.014], [-3.991, -4.687, -0.313]],
  "species": ["O", "O", "O", "O", "O", "O", "Sr", "Pr", "Nb", "K"],

_cell_length_a 4.5868
_cell_length_b 4.5868
_cell_length_c 8.2936
_cell_angle_alpha 90.00
_cell_angle_beta 90.00
_cell_angle_gamma 120.00
loop_
_atom_site_label
_atom_site_type_symbol
_atom_site_fract_x
_atom_site_fract_y
_atom_site_fract_z
Mg1 Mg 0.0000 0.0000 0.2500
Mg2 Mg 0.3333 0.6667 0.0764
Pt1 Pt 0.3333 0.6667 0.7500
```

~~~~~

No. 1
{
  "formula": "KSrPrNbO6",
  "functional": "PBE",
  "state": "optimized geometry",
  "space_group": "Pnnn, No. 48",
  "formation_energy_mev_per_atom": -2919,
  "m_tot_mub_per_fu": 1.0,
  "cell": [[-5.104, -4.289, -5.592], [-0.235, -6.767, 5.404], [-7.016, 3.322, 3.855]],
  "species": ["Nb", "Nb", "Nb", "Nb", "Sr", "Sr", "Sr", "Sr", "K", "K", "K", "K", "O", "O", "O", "O", "O", "O", "O", "O", "O", "O", "O", "O", "O", "O", "O", "O", "O", "O", "O", "O", "O", "O", "O", "O", "Pr", "Pr", "Pr", "Pr"],
  "frac_coords": [[0.750, 0.250, 0.250], [0.750, 0.750, 0.750], [0.250, 0.750, 0.250], [0.250, 0.250, 0.750], [0.000, 0.500, 0.000], [0.000, 0.000, 0.000], [0.500, 0.500, 0.500], [0.500, 0.000, 0.500], [0.000, 0.500, 0.500], [0.000, 0.000, 0.500], [0.500, 0.500, 0.000], [0.500, 0.000, 0.000], [0.481, 0.275, 0.761], [0.769, 0.520, 0.728], [0.019, 0.775, 0.261], [0.519, 0.725, 0.761], [0.981, 0.225, 0.261], [0.269, 0.980, 0.228], [0.231, 0.480, 0.728], [0.519, 0.275, 0.239], [0.019, 0.225, 0.739], [0.981, 0.775, 0.739], [0.288, 0.228, 0.519], [0.788, 0.272, 0.019], [0.712, 0.228, 0.481], [0.269, 0.020, 0.772], [0.731, 0.020, 0.228], [0.212, 0.728, 0.019], [0.481, 0.725, 0.239], [0.788, 0.728, 0.981], [0.769, 0.480, 0.272], [0.212, 0.272, 0.981], [0.712, 0.772, 0.519], [0.731, 0.980, 0.772], [0.288, 0.772, 0.481], [0.231, 0.520, 0.272], [0.250, 0.750, 0.750], [0.750, 0.750, 0.250], [0.250, 0.250, 0.250], [0.750, 0.250, 0.750]]
}


No. 2
{
  "formula": "KSrPrNbO6",
  "functional": "PBE",
  "state": "optimized geometry",
  "space_group": "F-43m, No. 216",
  "formation_energy_mev_per_atom": -2898,
  "m_tot_mub_per_fu": 1.0,
  "cell": [[-6.060, 1.087, 0.296], [-3.510, -0.730, -5.014], [-3.991, -4.687, -0.313]],
  "species": ["O", "O", "O", "O", "O", "O", "Sr", "Pr", "Nb", "K"],